This site is designed to help YOU. It contains notes, presentations, exam guidance and exam papers for practice. We want you to do your absolute best at History and we hope this site will help you in that quest.
**Misplaced crystal structures:**
=====
The following is a DFT calculation (r²SCAN) of Tl2Te after structural relaxation.

a b c (Å): 9.235 9.235 31.821
angles (deg): 81.52 81.52 59.14
Positions (direct):
Tl 0.794 0.598 0.188
Te 0.289 0.781 0.515
Tl 0.036 0.518 0.623
Te 0.981 0.816 0.128
Tl 0.168 0.045 0.759
Tl 0.196 0.721 0.309
Te 0.019 0.518 0.274
Te 0.602 0.398 0.250
Tl 0.515 0.317 0.587
Te 0.816 0.981 0.628
Tl 0.804 0.279 0.691
Tl 0.598 0.794 0.688
Tl 0.562 0.711 0.001
Tl 0.105 0.159 0.463
Tl 0.744 0.269 0.354
Tl 0.279 0.804 0.191
Tl 0.256 0.731 0.646
Te 0.321 0.456 0.395
Te 0.773 0.910 0.352
Tl 0.832 0.955 0.241
Tl 0.841 0.895 0.037
Te 0.219 0.711 0.985
Tl 0.438 0.289 0.999
Tl 0.482 0.964 0.877
Tl 0.731 0.256 0.146
Tl 0.308 0.394 0.197
Tl 0.518 0.036 0.123
Tl 0.317 0.515 0.087
Tl 0.269 0.744 0.854
Te 0.482 0.981 0.226
Tl 0.683 0.485 0.913
Tl 0.523 0.058 0.436
Te 0.090 0.227 0.148
Te 0.518 0.019 0.774
Tl 0.942 0.477 0.064
Tl 0.045 0.168 0.259
Tl 0.721 0.196 0.809
Tl 0.159 0.105 0.963
Tl 0.485 0.683 0.413
Tl 0.833 0.005 0.929
Tl 0.711 0.562 0.501
Te 0.910 0.773 0.852
Te 0.711 0.219 0.485
Tl 0.995 0.167 0.571
Te 0.227 0.090 0.648
Tl 0.167 0.995 0.071
Tl 0.206 0.402 0.812
Tl 0.692 0.606 0.803
Tl 0.477 0.942 0.564
Te 0.781 0.289 0.015
Tl 0.402 0.206 0.312
Te 0.398 0.602 0.750
Te 0.679 0.544 0.605
Te 0.019 0.184 0.872
Tl 0.289 0.438 0.499
Tl 0.895 0.841 0.537
Tl 0.606 0.692 0.303
Tl 0.005 0.833 0.429
Tl 0.955 0.832 0.741
Tl 0.964 0.482 0.377
Te 0.184 0.019 0.372
Te 0.981 0.482 0.726
Te 0.544 0.679 0.105
Tl 0.058 0.523 0.936
Tl 0.394 0.308 0.697
Te 0.456 0.321 0.895

formation energy: -0.365 eV per atom
space group: C2/c
volume: 2295.8 Å³/cell

----------

1.
VOF3: relaxed, PBE+U.

VASP energy ... -5.890 eV per atom
M_tot ... 0.000 μB/f.u.
Volume ... 14.96 A^3/atom
DFT formation energy ... -2.689 eV per atom

```
data_VOF3
_chemical_formula_sum 'V4 O4 F12'
_symmetry_space_group_name_H-M 'P 1'
_symmetry_Int_Tables_number 1
_symmetry_space_group_name_Hall 'P 1'
_cell_length_a 5.7567
_cell_length_b 7.6338
_cell_length_c 7.6779
_cell_angle_alpha 76.43
_cell_angle_beta 70.79
_cell_angle_gamma 71.68
loop_
_atom_site_label
_atom_site_type_symbol
_atom_site_fract_x
_atom_site_fract_y
_atom_site_fract_z
_atom_site_occupancy
V1 V 0.0000 0.0000 0.0000 1
V2 V 0.1821 0.2668 0.2293 1
V3 V 0.5253 0.4930 0.4946 1
V4 V 0.7591 0.7605 0.7259 1
O1 O 0.0255 0.2062 0.1168 1
O2 O 0.0367 0.6816 0.5906 1
O3 O 0.2993 0.8964 0.9562 1
O4 O 0.8300 0.3861 0.4387 1
F1 F 0.1512 0.5080 0.1547 1
F2 F 0.2018 0.0864 0.4188 1
F3 F 0.3964 0.3515 0.4137 1
F4 F 0.3969 0.4158 0.7334 1
F5 F 0.4838 0.6800 0.3134 1
F6 F 0.5005 0.1904 0.0926 1
F7 F 0.5512 0.7055 0.6110 1
F8 F 0.6603 0.0018 0.6451 1
F9 F 0.7050 0.5776 0.9118 1
F10 F 0.8571 0.9113 0.2328 1
F11 F 0.8782 0.8463 0.9053 1
F12 F 0.9604 0.1783 0.8101 1
```

***

2.
V2O3F: relaxed, PBE+U.

VASP energy ... -7.490 eV per atom
Volume ... 11.11 A^3/atom
DFT formation energy ... -2.657 eV per atom
Offset from the most stable computed form ... 13.3 meV/atom

```
data_V2O3F
=====
To help make History even more refreshing and interesting, I have introduced a BLOG to the website. This will allow me to introduce any good History articles, videos or links which will help you understand History better.

This is a Great new way to test your revision! We have began to put the whole GCSE History course in Quiz form. This means you can look over and revise the different topics and you can then test out how much you have learnt through taking one of the quizzes. Even if you get a few wrong - a few practices will help to sort that out and consolidate knowledge. This section is Flash based at the moment so it may not work with some devices. Give it a few seconds to load up.
I am working on putting together interactive GCSE History timelines to help you understand the all important Chronology in your topics
I have started with a COLD WAR TIMELINE. Click the link to try it out (This will only work on a PC at present unfortunately as it uses Flash) |
The Year 14 class spent a great day in Dublin as part of their Partition of Ireland A2 course.
They completed a walking tour of the city, going round the major sites from 1916. These included the Royal College of Surgeons, GPO, Liberty Hall, Collins Barracks, Moore Street, the Asgard and Bolands Mill. The guided tour was superb and covered the full range of key events from the turbulent start of the 20th century. |
We have started our very own You Tube channel. We hope to use it to help source useful clips for your GCSE and A Level courses. There are already loads of different clips free to download. Use it to really maximise your learning. If you find something you think would be useful to include - just tell us and we will upload it.
Inserted here: crystal structures =
Compound: ErBiW2O9
Source: the Materials Project database
Functional: PBE with a Hubbard U
Structure: optimized geometry

Output
- DFT total energy: -192.40 eV per cell
- Energy relative to the elements: -240.1 kJ/mol of atoms
- E (MP2020): -8.558 eV per atom

Lattice parameters (Å, degrees): 3.9163 5.7488 16.3564 90.00 90.00 90.00
Last column: nearest neighbours and their distance in Å.
Fractional positions:
Er (0.2500, 0.2500, 0.1656)  7 O 2.25-2.36
Er (0.7500, 0.7500, 0.8344)  7 O 2.25-2.36
Bi (0.2500, 0.7500, 0.5533)  6 O 2.26-2.50
Bi (0.7500, 0.2500, 0.4467)  6 O 2.26-2.50
W (0.2500, 0.2500, 0.9132)  5 O 1.81-1.96
W (0.2500, 0.7500, 0.3400)  4 O 1.82-1.97
W (0.7500, 0.2500, 0.6600)  4 O 1.82-1.97
W (0.7500, 0.7500, 0.0868)  5 O 1.81-1.96
O (0.2500, 0.9998, 0.2713)  1 W 1.82
O (0.2500, 0.2500, 0.0236)  1 W 1.81
O (0.2500, 0.2500, 0.6466)  2 W 1.97
O (0.2500, 0.5002, 0.2713)  1 W 1.82
O (0.2500, 0.5198, 0.4412)  1 W 2.12, 1 Bi 2.26
O (0.2500, 0.5309, 0.8574)  1 W 1.85
O (0.2500, 0.7500, 0.0953)  2 W 1.96
O (0.2500, 0.9691, 0.8574)  1 W 1.85
O (0.2500, 0.9802, 0.4412)  1 W 2.12, 1 Bi 2.26
O (0.7500, 0.0002, 0.7287)  1 W 1.82
O (0.7500, 0.0198, 0.5588)  1 W 2.12, 1 Bi 2.26
O (0.7500, 0.0309, 0.1426)  1 W 1.85
O (0.7500, 0.2500, 0.9047)  2 W 1.96
O (0.7500, 0.4691, 0.1426)  1 W 1.85
O (0.7500, 0.4802, 0.5588)  1 W 2.12, 1 Bi 2.26
O (0.7500, 0.4998, 0.7287)  1 W 1.82
O (0.7500, 0.7500, 0.3534)  2 W 1.97
O (0.7500, 0.7500, 0.9764)  1 W 1.81

* * * * *

Density functional theory data (PBE-GGA) for a geometry-optimized La4Dy11S22 structure.

Cell lengths 19.8298, 19.8298, 11.4278 Å; angles 91.67, 91.67, 11.55 degrees
Fractional coordinates of all 37 atoms:
La: 0.1043 0.1043 0.0115
La: 0.3672 0.3672 0.3469
La: 0.6328 0.6328 0.6531
La: 0.8957 0.8957 0.9885
Dy: 0.0000 0.0000 0.0000
Dy: 0.0694 0.0694 0.3605
Dy: 0.2023 0.2023 0.9424
Dy: 0.2637 0.2637 0.3517
Dy: 0.3422 0.3422 0.6990
Dy: 0.4621 0.4621 0.2711
Dy: 0.5379 0.5379 0.7289
Dy: 0.6578 0.6578 0.3010
Dy: 0.7363 0.7363 0.6483
Dy: 0.7977 0.7977 0.0576
Dy: 0.9306 0.9306 0.6395
S: 0.0077 0.0077 0.2389
S: 0.0873 0.0873 0.7517
S: 0.1346 0.1346 0.4530
S: 0.1684 0.1684 0.1517
S: 0.1890 0.1890 0.6915
S: 0.2554 0.2554 0.1185
S: 0.2799 0.2799 0.5902
S: 0.3503 0.3503 0.0912
S: 0.4072 0.4072 0.7875
S: 0.4454 0.4454 0.4952
S: 0.4533 0.4533 0.0308
S: 0.5467 0.5467 0.9692
S: 0.5546 0.5546 0.5048
S: 0.5928 0.5928 0.2125
S: 0.6497 0.6497 0.9088
S: 0.7201 0.7201 0.4098
S: 0.7446 0.7446 0.8815
S: 0.8110 0.8110 0.3085
S: 0.8316 0.8316 0.8483
S: 0.8654 0.8654 0.5470
S: 0.9127 0.9127 0.2483
S: 0.9923 0.9923 0.7611

Output
- Raw total energy: -6.463 eV/atom
- Energy of formation from the pure elements: -2.40 eV per atom
- Calculated volume: 899.1 Å³ per cell
- Calculated density: 5.63 g/cm3

=====

Density functional theory data (PBE-GGA) for a geometry-optimized Na5Sc2In2P5SO24 structure.

Cell lengths 8.9964, 9.0275, 22.9394 Å; angles 89.79, 89.91, 60.12 degrees
Fractional coordinates of all 117 atoms:
BBC BITESIZE APP (GCSE)This app is highly useful, well recommended and it is FREE!!!!
Download the GCSE Northern Ireland Section. It will bring up key information as well as questions to answer from your entire course at GCSE |
CCEA History Guide (New Edition for the new course)This is the most comprehensive revision guide for your History course. It has lots of information and tips on how to answer questions correctly.

If you have any ideas of anything you would like included on the website just say at any stage. All comments are welcome!
A Note About Site Images
In the course of producing this website I have used many images to appeal to the students of the college. I have tried, where possible, to attribute photos. This site is solely educational and is of non commercial use. It is aimed at Lagan College students and is password protected to ensure only they can see content. One set of images in particular is widely used and that is Philip Martin's amazing images primarily for use with Young people. These are acknowledged under his license agreement for non commercial use: Phillip Martin is licensed under a Creative Commons Attribution-NonCommercial-NoDerivs 3.0 Unported License
Copyright Disclaimer has posted the material on this website solely for educational and non commercial use. It is only for Lagan college history pupils. The site contains material extracted from various sources. I am trying to credit all sources used where possible and gaining permission to use the material sought from copyright owners, including any individual or group that may own rights therein where applicable.
Commercial use of any material contained on this site may not be made without permission. Please contact if you have any concern, objections or issues with respect to any material contained therein. Due to the nature of the material cannot always guarantee the accuracy of the extracted material.
© J Wishart 2019-2020
Copyright Disclaimer has posted the material on this website solely for educational and non commercial use. It is only for Lagan college history pupils. The site contains material extracted from various sources. I am trying to credit all sources used where possible and gaining permission to use the material sought from copyright owners, including any individual or group that may own rights therein where applicable.
Commercial use of any material contained on this site may not be made without permission. Please contact if you have any concern, objections or issues with respect to any material contained therein. Due to the nature of the material cannot always guarantee the accuracy of the extracted material.
© J Wishart 2019-2020